== Exercise ==
The reader should quote only the lines underneath with the word "fractional" in them.

== Given ==
=====
(1)
Compound: LiMn2O4
Source: the Materials Project
Functional: PBE+U
Structure: optimized geometry

a b c (Å): 5.8200 5.8200 5.9027
angles (deg): 117.63 117.63 91.11
Last column: nearest neighbours and their distance in Å.
Atoms (fractional coordinates):
Li (0.0000, 0.5000, 0.0000)  6 O 2.15-2.19
Li (0.5000, 0.0000, 0.5000)  6 O 2.15-2.19
Mn (0.0000, 0.0000, 0.0000)  6 O 1.92-1.96
Mn (0.0000, 0.0000, 0.5000)  6 O 1.92-1.96
Mn (0.0000, 0.5000, 0.5000)  4 O 1.94-2.01
Mn (0.5000, 0.0000, 0.0000)  4 O 1.94-2.01
O (0.1983, 0.2202, 0.4415)  3 Mn 1.95-2.01, 1 Li 2.19
O (0.2105, 0.7490, 0.4845)  2 Mn 1.92-1.94, 2 Li 2.15
O (0.2202, 0.1983, 0.9415)  3 Mn 1.95-2.01, 1 Li 2.19
O (0.2510, 0.7895, 0.0155)  2 Mn 1.92-1.94, 2 Li 2.15
O (0.7490, 0.2105, 0.9845)  2 Mn 1.92-1.94, 2 Li 2.15
O (0.7798, 0.8017, 0.0585)  3 Mn 1.95-2.01, 1 Li 2.19
O (0.7895, 0.2510, 0.5155)  2 Mn 1.92-1.94, 2 Li 2.15
O (0.8017, 0.7798, 0.5585)  3 Mn 1.95-2.01, 1 Li 2.19

Output
Magnetization: 7.0 μB per formula unit
Energy of formation from the pure elements: -194.8 kJ/mol of atoms
Symmetry: C2/c, No. 15
Calculated total energy: -6.867 eV/atom

---

(2)
Compound: Sr3V2O7
Source: the Materials Project
Functional: PBE+U
Structure: optimized geometry

a b c (Å): 10.3482 10.3482 10.3482
angles (deg): 157.84 157.84 31.54
Last column: nearest neighbours and their distance in Å.
Atoms (fractional coordinates):
Sr (0.0000, 0.0000, 0.0000)  12 O 2.75-2.81
Sr (0.1805, 0.1805, 0.0000)  9 O 2.53-2.82
Sr (0.8195, 0.8195, 0.0000)  9 O 2.53-2.82
V (0.4022, 0.4022, 0.0000)  6 O 1.89-1.99
V (0.5978, 0.5978, 0.0000)  6 O 1.89-1.99
O (0.0957, 0.5957, 0.5000)  2 V 1.99
O (0.3073, 0.3073, 0.0000)  1 V 1.89
O (0.4043, 0.9043, 0.5000)  2 V 1.99
O (0.5000, 0.5000, 0.0000)  2 V 1.95
O (0.5957, 0.0957, 0.5000)  2 V 1.99
O (0.6927, 0.6927, 0.0000)  1 V 1.89
O (0.9043, 0.4043, 0.5000)  2 V 1.99

Output
Energy of formation from the pure elements: -286.4 kJ/mol of atoms
Symmetry: I4/mmm, No. 139
Calculated total energy: -7.107 eV/atom

---

(3)
Compound: Li3Mo3P4O16
Source: the Materials Project
Functional: PBE+U
Structure: optimized geometry

a b c (Å): 7.7453 8.3694 10.2670
angles (deg): 90.00 91.99 90.00
Last column: nearest neighbours and their distance in Å.
Atoms (fractional coordinates):
Li (0.1410, 0.0000, 0.0758)  5 O 1.95-2.15
Li (0.1443, 0.9888, 0.5786)  3 O 1.90-2.10
Li (0.3361, 0.7275, 0.6685)  3 O 1.90-2.04
Li (0.6639, 0.2275, 0.3315)  3 O 1.90-2.04
Li (0.8557, 0.4888, 0.4214)  3 O 1.90-2.10
Li (0.8590, 0.5000, 0.9242)  5 O 1.95-2.15
Mo (0.2354, 0.3609, 0.6232)  6 O 2.08-2.25
Mo (0.2454, 0.3495, 0.1254)  6 O 2.09-2.24
Mo (0.3593, 0.7250, 0.1826)  5 O 2.06-2.13
Mo (0.6407, 0.2250, 0.8174)  5 O 2.06-2.13
Mo (0.7546, 0.8495, 0.8746)  6 O 2.09-2.24
Mo (0.7646, 0.8609, 0.3768)  6 O 2.08-2.25
P (0.0470, 0.1592, 0.8605)  4 O 1.55-1.57
P (0.0511, 0.1656, 0.3589)  4 O 1.51-1.57
P (0.4448, 0.5622, 0.8890)  4 O 1.53-1.59
P (0.4589, 0.5445, 0.4007)  4 O 1.49-1.63
P (0.5411, 0.0445, 0.5993)  4 O 1.49-1.63
P (0.5552, 0.0622, 0.1110)  4 O 1.53-1.59
P (0.9489, 0.6656, 0.6411)  4 O 1.51-1.57
P (0.9530, 0.6592, 0.1395)  4 O 1.55-1.57
O (0.0042, 0.4918, 0.6018)  1 P 1.57
O (0.0117, 0.4884, 0.1029)  1 P 1.55
O (0.0972, 0.7824, 0.6464)  1 P 1.51
O (0.1075, 0.7781, 0.1256)  1 P 1.57
O (0.1151, 0.1666, 0.7210)  1 P 1.55
O (0.1384, 0.1558, 0.2231)  1 P 1.57
O (0.1921, 0.2078, 0.9608)  1 P 1.55
O (0.1949, 0.2129, 0.4626)  1 P 1.56
O (0.3070, 0.5073, 0.7884)  1 P 1.53
O (0.3175, 0.5094, 0.2864)  1 P 1.60
O (0.3581, 0.5620, 0.0274)  1 P 1.59
O (0.3657, 0.5572, 0.5293)  1 P 1.53
O (0.3929, 0.9307, 0.5986)  1 P 1.49
O (0.4001, 0.9456, 0.0997)  1 P 1.55
O (0.4823, 0.2211, 0.6489)  1 P 1.63
O (0.4928, 0.2314, 0.1446)  1 P 1.54
O (0.5072, 0.7314, 0.8554)  1 P 1.54
O (0.5177, 0.7211, 0.3511)  1 P 1.63
O (0.5999, 0.4456, 0.9003)  1 P 1.55
O (0.6071, 0.4307, 0.4014)  1 P 1.49
O (0.6343, 0.0572, 0.4707)  1 P 1.53
O (0.6419, 0.0620, 0.9726)  1 P 1.59
O (0.6825, 0.0094, 0.7136)  1 P 1.60
=====

== Here it is ==
Atoms (fractional coordinates):
Atoms (fractional coordinates):
Atoms (fractional coordinates):